How can wraparound coaching support the learner — and the organization?
New case study shows how a long-term partnership addresses critical job gaps and empowers a diverse health care workforce
Looking to address the ever-growing demand for specialized health care workers, the Education Fund – a multi-employer labor management training fund – wanted to expand their opportunities for career advancement and develop a diverse talent pipeline. But they needed a partner to help support the program’s growth.
Working to improve the health care workforce
What comes next are quantum chemistry results, not part of the text >
=====
(1)
The following is a DFT calculation (ωB97M-V with the def2-TZVPD basis set) of a structure of composition C27H46GeN5O4SSi3Ti.

Values from the calculation:
orbital gap (spin up / spin down)	6.42 / 7.44	eV
calculated total energy	-158490.713	eV
LUMO level (spin up / spin down)	0.4 / -0.9	eV
highest occupied orbital energy (spin up / spin down)	-6.02 / -8.38	eV
energy above the lowest of the compared OMol25 structures with the same formula, charge and spin	0.00	kJ/mol
⟨S²⟩	3.76
multiplicity	4

```
88
Properties=species:S:1:pos:R:3:lowdin_charge:R:1
Ti 0.9182 0.9792 0.9355 0.7606
C -6.4375 -2.0153 2.5631 -0.0465
C -5.0012 -1.5712 2.6402 -0.2631
C -4.6509 -0.2476 2.3933 -0.0272
C -3.3313 0.1697 2.4868 -0.0516
C -2.3556 -0.7540 2.8171 -0.2950
C -2.6800 -2.0782 3.0790 -0.0606
C -3.9993 -2.4784 2.9866 -0.0351
S -0.6799 -0.2542 2.9543 0.6016
O -0.2102 -0.6152 4.2687 -0.2828
O -0.6181 1.1826 2.6416 -0.3747
N 0.0425 -0.9771 1.7439 -0.1657
C 1.3543 -1.4031 1.8639 -0.4426
C 1.8755 -2.2195 2.8756 -0.0015
C 3.1984 -2.5863 2.8013 -0.0496
C 3.9862 -2.1360 1.7439 -0.0646
C 3.4122 -1.3008 0.8129 -0.1304
N 2.1266 -0.9406 0.8673 0.0333
H -7.0101 -1.3823 1.8864 0.0771
H -6.9054 -1.9598 3.5483 0.0861
H -6.5104 -3.0468 2.2194 0.0780
H -5.4177 0.4674 2.1197 0.1179
H -3.0463 1.1943 2.2964 0.1063
H -1.8981 -2.7828 3.3344 0.1211
H -4.2606 -3.5127 3.1762 0.1166
H 1.2433 -2.5409 3.6893 0.1100
H 3.6223 -3.2281 3.5631 0.1116
H 5.0245 -2.4255 1.6592 0.1017
H 3.9797 -0.8892 -0.0138 0.1103
C 1.7719 4.5342 -0.6184 0.0156
C 1.3338 3.1459 -0.2427 -0.7103
O 2.1309 2.1762 -0.4322 -0.1472
O 0.2113 2.9668 0.3045 -0.0929
H 2.3950 4.5115 -1.5112 0.0823
H 2.3691 4.9264 0.2063 0.0898
H 0.9119 5.1853 -0.7608 0.0850
C 0.5629 -0.1752 -5.1441 -0.2161
Si 1.4627 0.0576 -3.5095 0.3006
C 2.7109 -1.3318 -3.3249 -0.2151
C 2.3849 1.6821 -3.5922 -0.2139
Ge -0.1744 -0.0788 -1.7810 0.7402
Si -1.9190 1.5114 -2.1677 0.3114
C -2.8408 1.9382 -0.6043 -0.2083
C -3.1273 0.7371 -3.3832 -0.2206
C -1.2301 3.0494 -2.9854 -0.2041
Si -1.0329 -2.2938 -1.6189 0.3006
C -1.3863 -2.9239 -3.3549 -0.2239
C -2.6401 -2.2586 -0.6564 -0.2062
C 0.1566 -3.4982 -0.8166 -0.2053
H 1.2805 -0.2057 -5.9686 0.0330
H -0.1158 0.6626 -5.3259 0.0186
H -0.0201 -1.0981 -5.1598 0.0087
H 3.3878 -1.3696 -4.1816 0.0320
H 2.2127 -2.3016 -3.2405 0.0139
H 3.3100 -1.1843 -2.4233 0.0111
H 3.1050 1.6542 -4.4153 0.0340
H 2.9120 1.8780 -2.6593 0.0098
H 1.6974 2.5119 -3.7765 0.0209
H -3.3225 1.0489 -0.1928 0.0125
H -3.6178 2.6812 -0.8075 0.0394
H -2.1516 2.3482 0.1353 0.0137
H -3.5805 -0.1624 -2.9586 0.0127
H -2.6256 0.4565 -4.3134 0.0192
H -3.9312 1.4356 -3.6304 0.0328
H -0.3365 3.3902 -2.4613 0.0065
H -1.9646 3.8585 -2.9596 0.0365
H -0.9736 2.8625 -4.0306 0.0250
H -1.9466 -2.1894 -3.9410 0.0161
H -1.9785 -3.8418 -3.3089 0.0316
H -0.4566 -3.1485 -3.8843 0.0213
H -3.3373 -1.5199 -1.0577 0.0150
H -2.4327 -2.0017 0.3850 0.0048
H -3.1345 -3.2336 -0.6756 0.0376
H 1.0628 -3.6238 -1.4145 0.0219
H -0.3181 -4.4785 -0.7158 0.0348
=====
Funded by collectively bargained employer contributions to provide education and training benefits to more than 100,000 eligible health care workers across six western states, the Education Fund provides education, training and career advice services for eligible union members, at no cost. Ultimately, they aim to improve the learner experience and help employees advance their careers in a changing health care environment. As they scaled quickly to meet learner needs, the Education Fund looked to partner with an organization who could help them ensure successful outcomes, guidance and support throughout the educational journey. Which is why the Education Fund turned to InsideTrack.
With a shared goal of equitable social mobility, InsideTrack first implemented a holistic coaching program to support learners along their allied health care pathways. We then worked with the Education Fund to train and develop their staff and leadership, guiding them through organizational change practices in order to help them achieve their strategic aspirations.
Better results through partnership
When the pandemic added to the stress on health care workers in 2020, the Education Fund’s mission was more critical than ever. To better support learners, direct coaching became a crucial component of their journey. Once an eligible union member enrolled in a covered program, they received one-on-one, personalized coaching support from a specially trained InsideTrack coach. The coach’s role was to help the learner stay on their path to completion and licensure, with the goal of upward mobility into a more skilled, higher paying health care role.
InsideTrack also customized a consulting and training program to help guide the Education Fund through the transformational change required to reach their organization-wide goals – a big undertaking for an organization self-described as “change resistant.” Consulting efforts involved communication plans, change management, key performance indicators, and accountability for managing the build-out of specific career pathways. InsideTrack also led department-specific training for career counselors, managers, business development staff and organizational leadership — all designed to support infrastructure and execution.
Measurable impact for the win-win-win-win
During the first three years of the partnership, the Education Fund achieved many accomplishments relating to the goals they outlined, to the benefit of learners and the organization alike. Take the case of the Medical Assistant (MA) pathway, for example. Launched in September of 2020 with InsideTrack’s help, more than 2,050 learners in this much-needed program have received one-on-one coaching.
- 88% contact rate
- 1,968 applied for the MA pathway
- 698 enrolled — exceeding 2021 goals by 140%
- 81% completed a certificate in 2020-2021
The benefits from this powerful partnership ripple out exponentially. An ever-increasing number of learners win by getting the education and support they need to move up the healthcare career ladder. Employers win by retaining a steady pipeline of skilled, qualified workers to fill critical job roles. It’s a win for the community, benefitting from top-quality healthcare delivered by a diverse workforce expertly trained to serve diverse communities. And the Education Fund itself is winning, having grown stronger and better able to meet the increased healthcare demands nationwide during this unprecedented time of need. It’s the ultimate win-win-win-win!
So how did this partnership transform to take on the wins the Education Fund needed to better support their learners — and grow to build capacity at their organization? Find out in the full case.
Coaching solutions proven to advance all learners
Whether you’re looking to help students persist through completion or to improve career outcomes for job seekers and employees, our holistic coaching solutions can help you achieve meaningful outcomes.